........
Entry 1:
Below is one molecule with the formula C20H23ClN6, with properties calculated with ωB97M-V/def2-TZVPD.

Geometry as XYZ:
```
50
Properties=species:S:1:pos:R:3:forces:R:3:lowdin_charge:R:1
C -4.2250 1.5733 1.0212 0.01 -0.03 -0.03 -0.11
N -4.8916 0.4707 0.3563 0.01 0.00 0.09 -0.29
C -6.3078 0.7433 0.2184 0.07 -0.04 -0.08 -0.10
C -4.6323 -0.7864 1.0400 -0.05 -0.18 -0.09 -0.22
C -4.9753 -2.0060 0.1835 0.18 0.30 -0.13 -0.16
C -4.2239 -1.9993 -1.1546 -0.34 -0.08 0.13 -0.20
N -2.8093 -2.2124 -1.0026 -0.06 -0.35 0.08 0.04
C -1.8520 -1.2644 -0.8467 0.38 0.14 -0.07 -0.34
C -2.0197 0.0931 -1.1765 -0.05 -0.06 0.00 -0.02
C -0.9483 0.9369 -1.0334 0.24 -0.26 0.09 -0.01
C 0.2853 0.4438 -0.5804 -0.43 -0.25 -0.05 -0.16
C 1.4212 1.3439 -0.4288 0.61 0.26 0.09 -0.23
C 2.7350 0.8902 -0.3459 -0.10 0.14 0.02 0.04
C 3.7316 1.8549 -0.1881 -0.39 0.10 -0.10 -0.30
N 5.0695 1.5859 -0.1002 0.20 0.50 -0.09 0.11
C 5.7202 0.3944 0.1721 0.24 -0.56 0.10 -0.24
C 5.1470 -0.6233 0.9354 -0.06 0.16 -0.03 -0.03
C 5.8525 -1.7854 1.1829 0.09 0.01 -0.07 -0.07
C 7.1378 -1.9591 0.6991 0.07 -0.02 -0.02 -0.12
C 7.7154 -0.9318 -0.0301 -0.23 0.01 0.15 -0.68
Cl 9.3301 -1.1087 -0.6229 0.16 -0.02 -0.07 0.67
C 7.0262 0.2354 -0.2962 -0.11 -0.01 0.02 -0.05
N 3.4375 3.1616 -0.1802 0.44 -0.03 0.08 0.12
C 2.1621 3.4789 -0.2846 0.16 0.15 -0.02 -0.21
N 1.1437 2.6578 -0.3878 -0.54 -0.20 -0.03 0.11
C 0.3361 -0.9125 -0.2673 0.08 0.41 -0.06 -0.09
N -0.6843 -1.7353 -0.3882 -0.23 -0.34 0.02 0.12
H -4.5947 1.7366 2.0454 -0.01 0.01 0.03 0.09
H -3.1546 1.3785 1.0625 0.04 0.04 0.04 0.07
H -4.3873 2.4838 0.4462 0.02 0.10 0.03 0.09
H -6.4355 1.6898 -0.3048 -0.08 0.02 -0.02 0.08
H -6.7809 -0.0378 -0.3727 -0.12 0.00 -0.02 0.07
H -6.8220 0.8098 1.1906 -0.02 0.00 0.03 0.09
H -5.1855 -0.8493 1.9950 0.09 0.05 -0.01 0.12
H -3.5645 -0.8179 1.2722 -0.03 0.01 0.07 0.11
H -4.7120 -2.9055 0.7446 -0.07 -0.05 -0.01 0.11
H -6.0463 -2.0429 -0.0161 -0.08 -0.08 0.03 0.10
H -4.3929 -1.0439 -1.6490 -0.03 -0.09 -0.09 0.11
H -4.6170 -2.7979 -1.7925 0.00 0.16 -0.01 0.12
H -2.5305 -3.1158 -0.6455 0.07 0.11 -0.04 0.14
H -2.9712 0.4655 -1.5153 -0.11 0.03 -0.02 0.10
H -1.0282 1.9874 -1.2669 -0.04 0.07 -0.02 0.11
H 2.9780 -0.1520 -0.4553 0.01 -0.09 0.00 0.10
H 5.6498 2.4011 -0.2463 -0.14 -0.07 0.07 0.15
H 4.1667 -0.4896 1.3632 -0.09 0.01 0.02 0.11
H 5.3982 -2.5660 1.7740 -0.04 -0.06 0.06 0.11
H 7.6875 -2.8654 0.8932 0.08 -0.07 0.00 0.10
H 7.4941 1.0232 -0.8666 0.05 0.05 -0.10 0.11
H 1.9329 4.5379 -0.2800 -0.01 0.07 0.00 0.11
H 1.2341 -1.3689 0.1299 0.15 0.07 0.02 0.11
```
Positions in Å, forces in eV/Å.

Properties
HOMO-LUMO gap: 8.40 eV
LUMO: 0.53 eV
Relative energy (zero: lowest compared OMol25 entry of this formula, charge and spin): 0.0 kJ/mol

Entry 2:
Below is a 3-piece molecular cluster, C15H39FNO11P4 overall, with properties calculated with ωB97M-V/def2-TZVPD.

Geometry as XYZ:
```
71
Properties=species:S:1:pos:R:3:forces:R:3:lowdin_charge:R:1
C -1.0197 -0.5652 3.3120 0.09 0.40 -0.40 -0.02
C -1.3001 -1.0678 1.9160 -0.32 0.05 0.39 -0.47
N -2.4530 -1.0527 1.3827 0.26 0.11 -0.40 0.16
C -0.1715 -1.6431 1.1090 0.01 -0.10 0.28 -0.27
P 0.2461 -0.6466 -0.3451 -0.75 -0.50 0.13 0.93
C -0.3780 1.0524 -0.3178 0.58 0.47 0.40 -0.28
C -0.2608 1.8334 1.0218 -0.71 0.15 -0.53 -0.20
C 0.3707 3.1997 0.8158 0.25 -0.06 0.73 -0.27
O -0.4361 4.0886 0.0755 -0.01 0.05 -0.08 -0.05
C 2.0165 -0.7874 -0.6813 0.09 0.02 0.12 -0.24
C 2.9539 0.2552 -0.0705 0.43 -0.40 0.04 -0.40
C 2.8729 0.4296 1.4391 -0.59 0.58 -0.01 -0.01
F 4.2320 -0.2177 -0.3679 0.04 0.02 -0.18 -0.02
P -0.7568 -1.6518 -2.1190 1.00 0.16 -1.88 0.75
O -2.1593 -0.8612 -2.2030 -0.13 -0.31 0.88 -0.30
O -0.9967 -3.1632 -1.6183 -0.58 0.45 0.45 -0.29
H 0.0202 -0.2659 3.4270 0.12 -0.25 0.12 0.07
H -1.2746 -1.3143 4.0574 0.05 -0.08 0.04 0.10
H -1.6069 0.3371 3.4752 -0.21 -0.09 0.21 0.09
H -3.1406 -0.6493 2.0164 -0.11 -0.02 -0.04 0.07
H -0.5183 -2.5986 0.7107 0.16 -0.09 -0.06 0.07
H 0.7069 -1.9031 1.6928 0.06 0.11 0.09 0.08
H -1.4050 1.0644 -0.6719 -0.04 -0.27 -0.08 0.08
........

Next, restate the whole of the lines above with every line break kept.

Entry 1:
Below is one molecule with the formula C20H23ClN6, with properties calculated with ωB97M-V/def2-TZVPD.

Geometry as XYZ:
```
50
Properties=species:S:1:pos:R:3:forces:R:3:lowdin_charge:R:1
C -4.2250 1.5733 1.0212 0.01 -0.03 -0.03 -0.11
N -4.8916 0.4707 0.3563 0.01 0.00 0.09 -0.29
C -6.3078 0.7433 0.2184 0.07 -0.04 -0.08 -0.10
C -4.6323 -0.7864 1.0400 -0.05 -0.18 -0.09 -0.22
C -4.9753 -2.0060 0.1835 0.18 0.30 -0.13 -0.16
C -4.2239 -1.9993 -1.1546 -0.34 -0.08 0.13 -0.20
N -2.8093 -2.2124 -1.0026 -0.06 -0.35 0.08 0.04
C -1.8520 -1.2644 -0.8467 0.38 0.14 -0.07 -0.34
C -2.0197 0.0931 -1.1765 -0.05 -0.06 0.00 -0.02
C -0.9483 0.9369 -1.0334 0.24 -0.26 0.09 -0.01
C 0.2853 0.4438 -0.5804 -0.43 -0.25 -0.05 -0.16
C 1.4212 1.3439 -0.4288 0.61 0.26 0.09 -0.23
C 2.7350 0.8902 -0.3459 -0.10 0.14 0.02 0.04
C 3.7316 1.8549 -0.1881 -0.39 0.10 -0.10 -0.30
N 5.0695 1.5859 -0.1002 0.20 0.50 -0.09 0.11
C 5.7202 0.3944 0.1721 0.24 -0.56 0.10 -0.24
C 5.1470 -0.6233 0.9354 -0.06 0.16 -0.03 -0.03
C 5.8525 -1.7854 1.1829 0.09 0.01 -0.07 -0.07
C 7.1378 -1.9591 0.6991 0.07 -0.02 -0.02 -0.12
C 7.7154 -0.9318 -0.0301 -0.23 0.01 0.15 -0.68
Cl 9.3301 -1.1087 -0.6229 0.16 -0.02 -0.07 0.67
C 7.0262 0.2354 -0.2962 -0.11 -0.01 0.02 -0.05
N 3.4375 3.1616 -0.1802 0.44 -0.03 0.08 0.12
C 2.1621 3.4789 -0.2846 0.16 0.15 -0.02 -0.21
N 1.1437 2.6578 -0.3878 -0.54 -0.20 -0.03 0.11
C 0.3361 -0.9125 -0.2673 0.08 0.41 -0.06 -0.09
N -0.6843 -1.7353 -0.3882 -0.23 -0.34 0.02 0.12
H -4.5947 1.7366 2.0454 -0.01 0.01 0.03 0.09
H -3.1546 1.3785 1.0625 0.04 0.04 0.04 0.07
H -4.3873 2.4838 0.4462 0.02 0.10 0.03 0.09
H -6.4355 1.6898 -0.3048 -0.08 0.02 -0.02 0.08
H -6.7809 -0.0378 -0.3727 -0.12 0.00 -0.02 0.07
H -6.8220 0.8098 1.1906 -0.02 0.00 0.03 0.09
H -5.1855 -0.8493 1.9950 0.09 0.05 -0.01 0.12
H -3.5645 -0.8179 1.2722 -0.03 0.01 0.07 0.11
H -4.7120 -2.9055 0.7446 -0.07 -0.05 -0.01 0.11
H -6.0463 -2.0429 -0.0161 -0.08 -0.08 0.03 0.10
H -4.3929 -1.0439 -1.6490 -0.03 -0.09 -0.09 0.11
H -4.6170 -2.7979 -1.7925 0.00 0.16 -0.01 0.12
H -2.5305 -3.1158 -0.6455 0.07 0.11 -0.04 0.14
H -2.9712 0.4655 -1.5153 -0.11 0.03 -0.02 0.10
H -1.0282 1.9874 -1.2669 -0.04 0.07 -0.02 0.11
H 2.9780 -0.1520 -0.4553 0.01 -0.09 0.00 0.10
H 5.6498 2.4011 -0.2463 -0.14 -0.07 0.07 0.15
H 4.1667 -0.4896 1.3632 -0.09 0.01 0.02 0.11
H 5.3982 -2.5660 1.7740 -0.04 -0.06 0.06 0.11
H 7.6875 -2.8654 0.8932 0.08 -0.07 0.00 0.10
H 7.4941 1.0232 -0.8666 0.05 0.05 -0.10 0.11
H 1.9329 4.5379 -0.2800 -0.01 0.07 0.00 0.11
H 1.2341 -1.3689 0.1299 0.15 0.07 0.02 0.11
```
Positions in Å, forces in eV/Å.

Properties
HOMO-LUMO gap: 8.40 eV
LUMO: 0.53 eV
Relative energy (zero: lowest compared OMol25 entry of this formula, charge and spin): 0.0 kJ/mol

Entry 2:
Below is a 3-piece molecular cluster, C15H39FNO11P4 overall, with properties calculated with ωB97M-V/def2-TZVPD.

Geometry as XYZ:
```
71
Properties=species:S:1:pos:R:3:forces:R:3:lowdin_charge:R:1
C -1.0197 -0.5652 3.3120 0.09 0.40 -0.40 -0.02
C -1.3001 -1.0678 1.9160 -0.32 0.05 0.39 -0.47
N -2.4530 -1.0527 1.3827 0.26 0.11 -0.40 0.16
C -0.1715 -1.6431 1.1090 0.01 -0.10 0.28 -0.27
P 0.2461 -0.6466 -0.3451 -0.75 -0.50 0.13 0.93
C -0.3780 1.0524 -0.3178 0.58 0.47 0.40 -0.28
C -0.2608 1.8334 1.0218 -0.71 0.15 -0.53 -0.20
C 0.3707 3.1997 0.8158 0.25 -0.06 0.73 -0.27
O -0.4361 4.0886 0.0755 -0.01 0.05 -0.08 -0.05
C 2.0165 -0.7874 -0.6813 0.09 0.02 0.12 -0.24
C 2.9539 0.2552 -0.0705 0.43 -0.40 0.04 -0.40
C 2.8729 0.4296 1.4391 -0.59 0.58 -0.01 -0.01
F 4.2320 -0.2177 -0.3679 0.04 0.02 -0.18 -0.02
P -0.7568 -1.6518 -2.1190 1.00 0.16 -1.88 0.75
O -2.1593 -0.8612 -2.2030 -0.13 -0.31 0.88 -0.30
O -0.9967 -3.1632 -1.6183 -0.58 0.45 0.45 -0.29
H 0.0202 -0.2659 3.4270 0.12 -0.25 0.12 0.07
H -1.2746 -1.3143 4.0574 0.05 -0.08 0.04 0.10
H -1.6069 0.3371 3.4752 -0.21 -0.09 0.21 0.09
H -3.1406 -0.6493 2.0164 -0.11 -0.02 -0.04 0.07
H -0.5183 -2.5986 0.7107 0.16 -0.09 -0.06 0.07
H 0.7069 -1.9031 1.6928 0.06 0.11 0.09 0.08
H -1.4050 1.0644 -0.6719 -0.04 -0.27 -0.08 0.08